"Hey, where's Romeo?" Jeraud asked, partly because he was truly curious, partly because he didn't want his friends talking to the gorilla anymore.
"He said he needed to take a leak." Tim answered.
Then, as if on cue, all three boys turned to the girl expectantly.
"What?!" she asked, wide eyed, Mikey's hat still crooked on her head.
Mikey shrugged. "Usually, girls say something about washing hands whenever a guy goes to the bathroom."
The gorilla girl’s face twisted in disgust. "That's a weird thing to talk about..."
"Maybe you're the weird one..." Jeraud muttered irately. His friends shot him a death glare, and he realized what he had said. It just slipped through his lips, he didn't even think about it.
But the look that really made him flustered was the creature's huge eyes, begging him not to say a thing.
(Here the article breaks off for materials data)
____________
ZnFeSb | PBE | optimized geometry

Calculated values
energy = -25.2 eV/cell
ΔE to the lowest computed polymorph = 245.7 meV/atom
space-group type = P6_3/mmc, No. 194
M_tot = 0.74 μB/atom

a b c (Å): 4.6950 4.6950 5.4084
angles (deg): 90.00 90.00 120.00
Fractional coordinates of all 6 atoms:
1 Zn 0.0000 0.0000 0.0000
2 Zn 0.0000 0.0000 0.5000
3 Fe 0.3333 0.6667 0.2500
4 Fe 0.6667 0.3333 0.7500
5 Sb 0.3333 0.6667 0.7500
6 Sb 0.6667 0.3333 0.2500

=====

ScAgSO | PBE | optimized geometry

Calculated values
energy = -50.4 eV/cell
ΔE to the lowest computed polymorph = 69.6 meV/atom
space-group type = P4mm, No. 99
M_tot = 0.00 μB/atom

a b c (Å): 3.7511 3.7511 8.9079
angles (deg): 90.00 90.00 90.00
Fractional coordinates of all 8 atoms:
1 Sc 0.0000 0.0000 0.0000
2 Sc 0.5000 0.5000 0.2204
3 Ag 0.0000 0.5000 0.6110
4 Ag 0.5000 0.0000 0.6110
5 S 0.0000 0.0000 0.3931
6 S 0.5000 0.5000 0.8285
7 O 0.0000 0.5000 0.1102
8 O 0.5000 0.0000 0.1102

=====

KBaSnAu | PBE | optimized geometry

Calculated values
energy = -11.6 eV/cell
ΔE to the lowest computed polymorph = 0.0 meV/atom
space-group type = F-43m, No. 216

a b c (Å): 5.5244 5.5244 5.5244
angles (deg): 60.00 60.00 60.00
Fractional coordinates of all 4 atoms:
1 K 0.0000 0.0000 0.0000
2 Ba 0.7500 0.7500 0.7500
3 Sn 0.2500 0.2500 0.2500
4 Au 0.5000 0.5000 0.5000

=====

Which value of ΔE to the lowest computed polymorph does entry 1 give?
245.7 meV/atom

=====

What did the first record say?
ZnFeSb | PBE | optimized geometry

Calculated values
energy = -25.2 eV/cell
ΔE to the lowest computed polymorph = 245.7 meV/atom
space-group type = P6_3/mmc, No. 194
M_tot = 0.74 μB/atom

a b c (Å): 4.6950 4.6950 5.4084
angles (deg): 90.00 90.00 120.00
Fractional coordinates of all 6 atoms:
1 Zn 0.0000 0.0000 0.0000
2 Zn 0.0000 0.0000 0.5000
3 Fe 0.3333 0.6667 0.2500
4 Fe 0.6667 0.3333 0.7500
5 Sb 0.3333 0.6667 0.7500
6 Sb 0.6667 0.3333 0.2500

=====

Which value of ΔE to the lowest computed polymorph does entry 1 give?
245.7 meV/atom


(1)
! Ce8In3Os | the Alexandria database | PBE-GGA | relaxed; values from VASP
! **Spin magnetization**: 3.25 μB per formula unit
! **VASP energy**: -5.719 eV/atom
! **Distance to the lowest polymorph of the same formula**: 0 meV/atom
! **Crystal system**: triclinic
&SYSTEM
  ibrav = 0, nat = 12, ntyp = 3
/
ATOMIC_SPECIES
Ce 140.12 Ce.upf
In 114.82 In.upf
Os 190.23 Os.upf
ATOMIC_POSITIONS crystal
Ce 0.000 0.000 0.000
Ce 0.001 0.541 0.964
Ce 0.246 0.260 0.840
Ce 0.267 0.815 0.292
Ce 0.363 0.392 0.347
Ce 0.568 0.651 0.679
Ce 0.695 0.202 0.098
Ce 0.963 0.982 0.500
In 0.600 0.138 0.664
In 0.613 0.683 0.110
In 0.971 0.500 0.525
Os 0.271 0.847 0.825
CELL_PARAMETERS angstrom
6.092 0.000 0.000
-2.021 6.616 0.000
-2.851 -1.220 7.590

***

(2)
! YRhW2 | the Alexandria database | PBE-GGA | relaxed; values from VASP
! **Spin magnetization**: 0.00 μB per formula unit
! **VASP energy**: -9.721 eV/atom
! **Distance to the lowest polymorph of the same formula**: 160 meV/atom
____________
(End of the materials data)
Jeraud remembered her angry promise yesterday as he gazed at her pleading eyes. 'I'm normal. You just watch me.' So far, she's proven herself right. She is acting normal, but she sure is a normal weirdo. He dropped it almost as quickly as he said it, a scowl planted on his face.
As Jeraud turned away, he spotted Romeo heading towards the group, confidence oozing from every strut.
"Romeo’s back." Jeraud informed everyone behind him.
"Romeo!!" Mikey called out eagerly, waving toward him.
Suddenly, Jeraud felt a tight grasp around his arm, and he jerked reflexively. He turned to find the mountain gorilla clutching onto him, and he growled with a cutting comment at his lips, but the distant, horrified look in her eyes made him swallow his jeer. He followed her stare to a frozen Romeo who’s usually calm and cool appearance instead mirrored the same frantic and mortified look in hers.
Jeraud raised a brow in suspicion. Something was obviously up between these two.
"Romeo?!" Mikey called out again, snapping the three of them back to reality.
Romeo bit on his lower cheek and cracked his neck before walking back toward them, his eyes glued to the ground. The circus freak's grip around Jeraud’s arm tightened, and he thought he heard her mutter profanity under her breath.
He let her hold on for a bit so she could blow off some steam, but a few seconds more and he felt like his humerus had gained a hairline fracture. "Hey, mountain gorilla. That hurts."
Realizing what she was doing, she immediately released her grip. "Sorry..." she apologized, looking down.
He simply hummed as an answer, turning back to Romeo.
"Hey!" Mikey joked, putting an arm around his friend's shoulders. "Meet the new girl! She's wearing my hat." He smirked in a smug tone.
"We never got your name, by the way." Tim smiled back at the mountain gorilla. Jeraud glowered at him disapprovingly. He doesn’t think Tim has ever smiled this much in a single day, not in the two years they’ve been friends.
"Rosalind, what are you doing here?!" Romeo suddenly burst, molten lava in his tone.
Jeraud’s jaw automatically dropped.
“Just so you know, I was adopted, Romeo." She stressed every syllable in his name, breaking it into three different words.
"Yeah, you just ‘happen’ to be adopted here?” He retaliated with skepticism in his fiery tone.
“My new family lives here, so I can’t exactly just get up and leave. But you can, so why don’t you? You're the one living alone." she pointed with a covetous attitude, her expression that of ancient betrayal.
"You think I just have it made with where I am now, don’t you? You've got everything backwards." he informed her before strutting off towards their classroom, obviously heated.
The beast turned her back to him, pouting.
Jeraud’s jaw was still dangling wide open, and he turned to find Mikey looking just the same. Tim was the only one who kept his calm composure.
"You know Romeo?" He asked the freak.
She could only manage to nod her angry head. “We don’t really get along." she added, her expression now graying a great degree.
Jeraud cleared his throat before shaking the surprise from his mind, regaining his composure. He should be relieved to have at least on friend who wouldn't be drooling over the circus freak. "You better learn to like him." He stated in a blunt tone.
Her body stiffened up, and she turned to him in dread. “Why?”
"He's in all of our classes." Jeraud smirked as the beast’s face crumbled in despair.